Sunday, April 30, 2006

yup, Christmas is cancelled...

So, on the weekend I went home to Winkler to visit my parents and hang out with them. I got to see them on Easter, but we didn't get to really talk and hang out so I went out there on Friday after I got off work and stayed until Saturday night. So, we got to hang out. The reason for the picture however, are my niece's rollerblades. Not the most hightech ever, probably from Wal-Mart, and unfortunately I did discover that they're about a half a size too small. So, that made some sidewalks a little hard. And it was a little embarassing to be rollerblading down the sidewalk in Winkler and losing my balance half the time. I haven't rollerbladed for a really long time. But it was fun to see my parents and hang out.

Well, today was also fun. And as the title suggests, Christmas is now going to have to be cancelled. Why, you may ask? Because I broke a Christmas tree today. Yup... during my stint of slave labor these past hours for someone who shall remain nameless, I was told to help out with getting the Christmas trees from the outdoors. Funny question, right? Because it's MAY. But, I helped. No complaining. And the tree was stuck, so I shoved the tree over so that it would be easier to drag into the house. Forgetting the fact that the Christmas lights were still on the tree. A couple really loud glass breaking sounds later, and the tree had toppled over. So now there's glass shattered all over the driveway and the stupid tree started falling apart. It broke into 3 parts, but, thankfully, the lights stayed on making it IMPOSSIBLE to be carried by just one person. So, with glass shards in my hand, I hauled the stupid thing in with some minimal help from Catherine. (Just jokes, she was carrying most of it.) But, that's the story, stupidly, I wrecked Christmas. Or maybe they wrecked Christmas by leaving the Christmas tree out until MAY. Just a thought...

'''
The following is a computed powder X-ray diffraction pattern of Na3CaMgCr3Si8O24. It was derived from DFT lattice parameters and positions (GGA+U), using a wavelength of 1.5418 Å.

Principal peaks in the range 5 to 70 degrees two-theta, sorted by position:
two_theta, I_rel, h k l
13.77, 21, 0 1 1
19.96, 27, 0 2 0
29.69, 100, 1 2 1
30.48, 44, 0 1 3
34.95, 27, 1 3 0
35.24, 41, 2 0 -2
35.94, 40, 1 2 -3
42.29, 20, 1 3 2

Structural model:
```
data_Na3CaMgCr3Si8O24
_symmetry_space_group_name_H-M 'P 1 2 1'
_symmetry_Int_Tables_number 3
_symmetry_space_group_name_Hall 'P 2y'
_cell_length_a 5.330
_cell_length_b 8.881
_cell_length_c 9.638
_cell_angle_alpha 90.00
_cell_angle_beta 104.73
_cell_angle_gamma 90.00
loop_
_atom_site_label
_atom_site_type_symbol
_atom_site_fract_x
_atom_site_fract_y
_atom_site_fract_z
_atom_site_occupancy
Na1 Na 0.000 0.000 0.000 1
Na2 Na 0.000 0.101 0.500 1
Na3 Na 0.500 0.606 0.000 1
Ca1 Ca 0.500 0.505 0.500 1
Mg1 Mg 0.000 0.715 0.500 1
Cr1 Cr 0.000 0.399 0.000 1
Cr2 Cr 0.500 0.207 0.000 1
Cr3 Cr 0.500 0.896 0.500 1
Si1 Si 0.191 0.394 0.711 1
Si2 Si 0.192 0.714 0.208 1
Si3 Si 0.308 0.209 0.290 1
Si4 Si 0.311 0.895 0.790 1
O1 O 0.097 0.792 0.850 1
O2 O 0.101 0.316 0.351 1
O3 O 0.195 0.547 0.141 1
O4 O 0.202 0.555 0.639 1
O5 O 0.226 0.224 0.114 1
O6 O 0.233 0.888 0.615 1
O7 O 0.273 0.381 0.887 1
O8 O 0.283 0.720 0.384 1
O9 O 0.303 0.047 0.361 1
O10 O 0.305 0.060 0.861 1
O11 O 0.402 0.815 0.146 1
O12 O 0.405 0.293 0.649 1
```

* * * * *

Diffraction record for K3Mo2BrO7. The XRD peak list is simulated, not measured: it uses a DFT-relaxed cell (PBE+U, Alexandria) and a wavelength of 1.5418 Å.
Peak positions follow from Bragg's law for the DFT cell and can differ from measured ones.

Crystal structure
Cell lengths 6.152, 6.152, 15.936 Å; angles 90.00, 90.00, 120.00 degrees
Atoms (fractional coordinates):
K 0.333 0.667 0.041
K 0.333 0.667 0.459
K 0.333 0.667 0.750
K 0.667 0.333 0.250
K 0.667 0.333 0.541
K 0.667 0.333 0.959
Mo 0.000 0.000 0.130
Mo 0.000 0.000 0.370
Mo 0.000 0.000 0.630
Mo 0.000 0.000 0.870
Br 0.333 0.667 0.250
Br 0.667 0.333 0.750
O 0.000 0.000 0.250
O 0.000 0.000 0.750
O 0.155 0.311 0.592
O 0.155 0.311 0.908
O 0.155 0.845 0.592
O 0.155 0.845 0.908
O 0.311 0.155 0.092
O 0.311 0.155 0.408
O 0.689 0.845 0.592
O 0.689 0.845 0.908
O 0.845 0.155 0.092
O 0.845 0.155 0.408
O 0.845 0.689 0.092
O 0.845 0.689 0.408

Top 10 peaks for 2θ = 10–90°, by angle:
(hkl), 2theta, I (rel.)
1 0 0, 16.64, 43.2
1 0 4, 27.96, 100.0
1 1 0, 29.03, 88.1
2 0 4, 40.74, 23.9
2 1 4, 50.80, 32.0
3 0 0, 51.45, 16.3
1 1 8, 54.91, 15.6
2 2 0, 60.16, 16.3
1 1 10, 66.00, 13.8
3 1 4, 67.62, 14.5

* * * * *

Simulated powder diffractogram of K5Pb for λ = 1.5418 Å (Cu Kα), from a structure optimized by DFT (PBE).

Structural model:
```
data_K5Pb
_chemical_formula_sum 'K10 Pb2'
_symmetry_space_group_name_H-M 'P m m n'
_symmetry_Int_Tables_number 59
_cell_length_a 4.659
_cell_length_b 13.518
_cell_length_c 10.810
_cell_angle_alpha 90.00
_cell_angle_beta 90.00
'''

Thursday, April 20, 2006

have you smiled at a security camera today?

Saturday, April 15, 2006

Thursday, April 13, 2006

hell on earth in my mouth

Well, today I had an experience like no other. And, I can still smell it. The smell is stuck in my nose, I think. What smell, you may ask? The smell of booger flavored Jelly Belly. Or dirt. Or earthworm. I actually couldn't distinguish between them by the end because I murdered my tastebuds. But it was fun, just the same.
Here's the story... Me and Katie and Ryan took a box of these jelly bellies and each took one in our hand without looking at them and put them in our mouth and tried to figure out what they were. Sounds like fun, right? NOT WHEN YOU GET SARDINE FLAVOR THREE TIMES IN A ROW!!! Yes, I was the wuss that eventually spit them out several times, instead of the swallowing the puke that was in my mouth. Yup, there's a vomit flavored one too. Mmmm... just what you've always wanted, right? Wrong.
But it was fun. Katie, in the end, after losing a game of rock-paper-scissors, had to eat the dirt flavored one. Although, at the beginning we thought it was the earthworm flavored one... alas, she wasn't so lucky. The grass one was okay... I mean who hasn't munched on grass before? I certainly have. And, there were some good ones... Tutti Frutti... Toasted Marshmallow... Even the Soap one was bareable after eating Booger.
It's done now... Thankfully, I bought an oat bar from Starbucks before this whole debacle and I'm going to eat it, sniff it, and possible inhale it to rid myself from the awful stomach ache that was swallowing Ear Wax. Hopefully, you too can one day experience the hell that was an hour ago.

chaos theory

This will be a short one... I just watched a really good movie and I definitely recommend it. It's a thinker, but it's really good. So, go watch it.

Wednesday, April 12, 2006

Life Lesson Number 312.8

Now, I used to love Garfield. Still do, on occasion. But for a while now, atleast a year, he hasn't been doing so good. Why, you may ask? I don't know. Perhaps it has something to do with the fact that I now am in love with Calvin & Hobbes and now that I'm not primarily a lifelong loyal fan of Garfield alone, then they've lost their desire to be great. But seriously folks, Garfield isn't as funny anymore. The jokes are kinda lame... and boring. But I go on the Garfield website sometimes and look at archives, and they're hi-freaking-larious. But now? I don't know. Just not cutting it for me anymore. The books from old? Amazingly funny. I own 2! But, now... seems that with most of their attention on the movies and internet... not so funny anymore. This has saddened me. But no worries, I'll be fine. I'm going to play with some matches.

Life Lesson Number 407.3 & 402.4

Life Lesson Number 402.4 : A couple of days ago, and by a couple I think I mean a week, I went to go pay my credit card bill. However, it was a day off from work, so was I going to get all dressed up to be outside for a couple of minutes? No. So, I went in jeans, a huge comfy hoodie, and my touqe. Tuque? touque. Ummm, I don't know. My head was covered. Anyways, so I went to the bank to pay it, and when I got there, the lady looked at me and was like, "Umm, do you have some ID with you?" And wouldn't you know it, I left my purse in the car. Because all I was doing was paying my credit card. Nope, no ID. So, after looking at me funny, and the guy in the till next to her looking at me funny, I was informed that I can't have my statement unless they have ID. Now, last time I went, I was wearing nice clothing, makeup, and no hat. And they had no problems telling me what I still owed. Super, right? Not this time. Now, I understand, for security purposes, they can't give out the amount to just anyone. But I was PAYING IT OFF!! If I'd stolen someone else's credit card, I'm pretty sure I wouldn't care to go pay it off. I'd just keep spending and then ditch the card!! (No, I haven't thought about that before...) Anyways, that was funny to me.

Life Lesson Number 407.3 : I hate onions and green peppers on pizza.

Saturday, April 08, 2006


So, yesterday me and my brother Eddie went to see Ice Age 2. It was awesome!! I really enjoyed it! And yes, there was a little kid somewhere behind us that had the cutest laugh ever that totally made the movie!! Of course there also was a little kid sitting infront of us crying when it got "too scary" but all in all, we were laughing too so it was great! Then, we went and set off fireworks in the country. I lost some finger hair and skin because I set one off in the wrong direction and the fuse took off next to my hand and we had to book it into the car and drive away several times because cars started coming... but it was awesome! I had fun, so did my adrenaline, my brother thought we were criminals, and it was so funny! I laughed so hard! I definitely needed last night, and it was great! I can't wait until the next time I can light off fireworks again!

Thursday, April 06, 2006

drowning polar bears

Well... I know it's a serious advertisement... but it made me smile. But, maybe check it out, because they think it's serious. Here's how powerful the media is, because I read "State of Fear" by Michael Crichton and now I don't believe in global warming. I'm torn. But if polar bears are really drowning, then it's important. Good luck making your own decision.

Wednesday, April 05, 2006

wisdom for the masses

this one's for Catherine

If you can't read it, click on it and it gets bigger.